### Work order
The reader should start at the top of the data further down and reproduce each line, ending with the one that has "(2.0885, 0.6769,".

### Given
=====
No. 1
The following is a DFT calculation (ωB97M-V/def2-TZVPD) of a 3-piece molecular cluster, H6O3 overall.

Geometry (Å):
O (-1.6820, -0.6880, 2.1661)
H (-1.1127, -1.2205, 2.7216)
H (-1.3879, -0.8727, 1.2741)
O (1.2900, 1.5652, -2.0807)
H (0.4168, 1.9228, -2.2415)
H (1.6550, 2.1231, -1.3938)
O (0.0927, -0.9020, 0.1951)
H (0.4243, -0.2117, -0.3790)
H (0.3040, -1.7162, -0.2617)

Summary:
**Net charge**: +1
**Maximum force**: 0.0693 hartree/bohr
**Energy**: -6228.42864 eV
**Multiplicity**: 2
**ΔE to the lowest compared entry with this formula, charge and spin**: 12.9 kcal per mole



No. 2
The following is a DFT calculation (ωB97M-V/def2-TZVPD) of one molecule with the formula C23H19Cl2F2N3S.

Geometry (Å):
F (-3.5959, 6.2063, 1.8171)
C (-2.2506, 5.9921, 1.5852)
F (-1.7291, 7.1328, 2.0347)
C (-2.2061, 5.8559, 0.0901)
C (-1.9794, 4.3535, -0.2893)
C (-0.7234, 3.7549, 0.4499)
N (-0.6779, 2.3009, 0.2443)
C (-1.1184, 1.2966, 1.1147)
S (-2.3772, 1.5413, 2.1641)
C (-0.6216, -0.0970, 0.8387)
C (-1.0472, -1.0898, 1.6697)
N (-0.9272, -2.4202, 1.3081)
C (-0.0504, -2.6786, 0.2972)
C (0.3603, -4.0062, 0.3643)
C (-0.4119, -5.1467, 0.7990)
C (0.0846, -6.4568, 1.1372)
C (1.5157, -6.7008, 0.9459)
Cl (2.3249, -8.2580, 1.1879)
C (2.2938, -5.4820, 0.6518)
C (1.7265, -4.1823, 0.3810)
C (0.3428, -1.6846, -0.6795)
C (1.2215, -1.8763, -1.8078)
C (1.0103, -2.8999, -2.8247)
C (1.9594, -3.1064, -3.8424)
C (3.0098, -2.1212, -4.0152)
Cl (4.1722, -2.1363, -5.2718)
C (3.0873, -0.9961, -3.1749)
C (2.2160, -0.9632, -2.0363)
N (-0.0025, -0.4065, -0.3006)
C (-0.5448, 4.3521, 1.8409)
C (-1.8841, 4.8508, 2.4285)
H (-1.3476, 6.4199, -0.2222)
H (-3.0532, 6.2361, -0.4186)
H (-1.8073, 4.3578, -1.4472)
H (-2.9501, 3.7907, -0.1607)
H (0.0506, 4.2620, -0.1000)
H (-0.3501, 2.0468, -0.6430)
H (-1.5434, -0.8716, 2.5633)
H (-1.4964, -5.0655, 0.8027)
H (-0.5373, -7.3704, 1.4805)
H (3.4085, -5.4903, 0.6665)
H (2.4398, -3.3210, 0.3568)
H (0.1666, -3.5133, -2.7246)
H (1.8894, -3.9682, -4.5332)
H (3.8270, -0.1858, -3.4087)
H (2.3207, -0.1146, -1.3163)
H (0.1230, 5.1398, 1.7715)
H (0.0675, 3.6533, 2.4476)
H (-2.5614, 4.0488, 2.2597)
H (-1.8238, 5.0176, 3.5181)

Summary:
**Maximum force**: 0.0954 hartree/bohr
**Energy**: -69942.48499 eV
**Structure (SMILES)**: FC1(F)CCC(NC(=S)c2cnc(-c3ccc(Cl)cc3)c(-c3ccc(Cl)cc3)n2)CC1



No. 3
The following is a DFT calculation (ωB97M-V/def2-TZVPD) of one molecule with the formula C24H34O7.

Geometry (Å):
C (-2.2085, -1.1345, 2.7093)
C (-2.5033, -2.4064, 1.9293)
O (-1.9398, -2.3600, 0.6162)
C (-2.6338, -1.7072, -0.3152)
O (-3.7087, -1.2032, -0.1314)
C (-1.9255, -1.7008, -1.6631)
C (-2.1448, -3.0442, -2.3620)
C (-1.7897, -4.2750, -1.5779)
O (-2.6306, -3.0911, -3.4628)
C (-0.4348, -1.3334, -1.4985)
C (-0.2559, -0.2750, -0.4338)
C (0.6916, -0.4410, 0.5633)
C (0.8895, 0.5213, 1.5395)
C (0.1245, 1.6825, 1.5350)
O (0.2204, 2.6893, 2.4393)
C (1.1709, 2.5891, 3.4806)
C (1.0970, 3.8455, 4.3460)
C (1.8337, 5.0563, 3.7614)
C (1.1407, 5.5890, 2.5109)
C (1.9319, 6.1579, 4.8155)
C (-0.8292, 1.8562, 0.5294)
C (-1.0114, 0.8944, -0.4396)
C (0.1474, -0.7950, -2.8127)
C (1.6411, -0.4755, -2.6647)
C (2.0885, 0.6769, -3.5113)
O (2.3684, -1.1292, -1.9664)
C (0.1343, -1.7796, -3.9779)
O (0.0959, -1.4201, -5.1251)
O (0.2582, -3.0322, -3.5702)
C (0.2842, -4.0524, -4.5752)
C (1.1491, -5.1983, -4.0837)
H (-1.1361, -0.9650, 2.7601)
H (-2.6082, -1.2247, 3.7152)
H (-2.6715, -0.2820, 2.2189)
H (-2.0414, -3.2754, 2.4025)
H (-3.5849, -2.5560, 1.8449)
H (-2.4285, -0.9466, -2.2780)
H (-1.6929, -5.1235, -2.2505)
H (-2.6045, -4.4801, -0.8839)
H (-0.8813, -4.1381, -1.0010)
H (0.1379, -2.2165, -1.2075)
H (1.2960, -1.3351, 0.5786)
H (1.6398, 0.3516, 2.2957)
H (2.1814, 2.4760, 3.0637)
H (0.9463, 1.7056, 4.0956)
H (0.0454, 4.0954, 4.4948)
H (1.5316, 3.6052, 5.3184)
H (2.8501, 4.7435, 3.4936)
H (1.6950, 6.4307, 2.1010)
H (0.1347, 5.9239, 2.7536)
H (1.0674, 4.8185, 1.7498)
H (0.9382, 6.4772, 5.1221)
H (2.4669, 5.8071, 5.6954)
H (2.4600, 7.0201, 4.4154)
H (-1.4175, 2.7601, 0.5328)
=====

### Reply
No. 1
The following is a DFT calculation (ωB97M-V/def2-TZVPD) of a 3-piece molecular cluster, H6O3 overall.

Geometry (Å):
O (-1.6820, -0.6880, 2.1661)
H (-1.1127, -1.2205, 2.7216)
H (-1.3879, -0.8727, 1.2741)
O (1.2900, 1.5652, -2.0807)
H (0.4168, 1.9228, -2.2415)
H (1.6550, 2.1231, -1.3938)
O (0.0927, -0.9020, 0.1951)
H (0.4243, -0.2117, -0.3790)
H (0.3040, -1.7162, -0.2617)

Summary:
**Net charge**: +1
**Maximum force**: 0.0693 hartree/bohr
**Energy**: -6228.42864 eV
**Multiplicity**: 2
**ΔE to the lowest compared entry with this formula, charge and spin**: 12.9 kcal per mole



No. 2
The following is a DFT calculation (ωB97M-V/def2-TZVPD) of one molecule with the formula C23H19Cl2F2N3S.

Geometry (Å):
F (-3.5959, 6.2063, 1.8171)
C (-2.2506, 5.9921, 1.5852)
F (-1.7291, 7.1328, 2.0347)
C (-2.2061, 5.8559, 0.0901)
C (-1.9794, 4.3535, -0.2893)
C (-0.7234, 3.7549, 0.4499)
N (-0.6779, 2.3009, 0.2443)
C (-1.1184, 1.2966, 1.1147)
S (-2.3772, 1.5413, 2.1641)
C (-0.6216, -0.0970, 0.8387)
C (-1.0472, -1.0898, 1.6697)
N (-0.9272, -2.4202, 1.3081)
C (-0.0504, -2.6786, 0.2972)
C (0.3603, -4.0062, 0.3643)
C (-0.4119, -5.1467, 0.7990)
C (0.0846, -6.4568, 1.1372)
C (1.5157, -6.7008, 0.9459)
Cl (2.3249, -8.2580, 1.1879)
C (2.2938, -5.4820, 0.6518)
C (1.7265, -4.1823, 0.3810)
C (0.3428, -1.6846, -0.6795)
C (1.2215, -1.8763, -1.8078)
C (1.0103, -2.8999, -2.8247)
C (1.9594, -3.1064, -3.8424)
C (3.0098, -2.1212, -4.0152)
Cl (4.1722, -2.1363, -5.2718)
C (3.0873, -0.9961, -3.1749)
C (2.2160, -0.9632, -2.0363)
N (-0.0025, -0.4065, -0.3006)
C (-0.5448, 4.3521, 1.8409)
C (-1.8841, 4.8508, 2.4285)
H (-1.3476, 6.4199, -0.2222)
H (-3.0532, 6.2361, -0.4186)
H (-1.8073, 4.3578, -1.4472)
H (-2.9501, 3.7907, -0.1607)
H (0.0506, 4.2620, -0.1000)
H (-0.3501, 2.0468, -0.6430)
H (-1.5434, -0.8716, 2.5633)
H (-1.4964, -5.0655, 0.8027)
H (-0.5373, -7.3704, 1.4805)
H (3.4085, -5.4903, 0.6665)
H (2.4398, -3.3210, 0.3568)
H (0.1666, -3.5133, -2.7246)
H (1.8894, -3.9682, -4.5332)
H (3.8270, -0.1858, -3.4087)
H (2.3207, -0.1146, -1.3163)
H (0.1230, 5.1398, 1.7715)
H (0.0675, 3.6533, 2.4476)
H (-2.5614, 4.0488, 2.2597)
H (-1.8238, 5.0176, 3.5181)

Summary:
**Maximum force**: 0.0954 hartree/bohr
**Energy**: -69942.48499 eV
**Structure (SMILES)**: FC1(F)CCC(NC(=S)c2cnc(-c3ccc(Cl)cc3)c(-c3ccc(Cl)cc3)n2)CC1



No. 3
The following is a DFT calculation (ωB97M-V/def2-TZVPD) of one molecule with the formula C24H34O7.

Geometry (Å):
C (-2.2085, -1.1345, 2.7093)
C (-2.5033, -2.4064, 1.9293)
O (-1.9398, -2.3600, 0.6162)
C (-2.6338, -1.7072, -0.3152)
O (-3.7087, -1.2032, -0.1314)
C (-1.9255, -1.7008, -1.6631)
C (-2.1448, -3.0442, -2.3620)
C (-1.7897, -4.2750, -1.5779)
O (-2.6306, -3.0911, -3.4628)
C (-0.4348, -1.3334, -1.4985)
C (-0.2559, -0.2750, -0.4338)
C (0.6916, -0.4410, 0.5633)
C (0.8895, 0.5213, 1.5395)
C (0.1245, 1.6825, 1.5350)
O (0.2204, 2.6893, 2.4393)
C (1.1709, 2.5891, 3.4806)
C (1.0970, 3.8455, 4.3460)
C (1.8337, 5.0563, 3.7614)
C (1.1407, 5.5890, 2.5109)
C (1.9319, 6.1579, 4.8155)
C (-0.8292, 1.8562, 0.5294)
C (-1.0114, 0.8944, -0.4396)
C (0.1474, -0.7950, -2.8127)
C (1.6411, -0.4755, -2.6647)
C (2.0885, 0.6769, -3.5113)